Womens Issues

As you may know Zondervan has recently published their new 2011 NIV. You may also know that it has come under a lot of fire from a number of sides. Even the Southern Baptist Convention has made resolutions against it in their recent meeting.

Over at the blog of the Council for Biblical Manhood and Womanhood Mary Kassian has written on Ten Reasons Why the New NIV Bible is Bad for Women. Her opening words tell you where she is going:

Don’t get me wrong. I like to be hip. And I enjoy cappuccino as much as the next person. But my biggest beef with gender-inclusive Bibles is that they lack doctrinal precision. If you mess with the words, you mess with the meaning.

You can read all ten of her reasons here along with the explanations.

“Abortion is the defining experience of this generation. It is an experience involving the shedding of innocent blood, a sin of bloodguilt, a sin that can only be addressed by a forthright, compassionate, and unapologetic gospel.” In his new book Innocent Blood, John Ensor makes a passionate plea for the church to “prevent the death of innocents and the bloodguilt that results.” Ensor grounds this plea in Deuteronomy 19:7-10:

Therefore I command you, You shall set apart three cities. And if the Lord your God enlarges your territory, as he has sworn to your fathers, and gives you all the land that he promised to give to your fathers…then you shall add three other cities to these three, lest innocent blood be shed in your land that the Lord your God is giving you for an inheritance, and so the guilt of bloodshed be upon you.

The numbers are staggering:

  1. There are 42 million induced abortions performed worldwide very year.
  2. At the current rate, one-third of all American women has or will have had an abortion by the age of 45.
  3. Women who have an abortion are at an elevated risk of death caused by many things such as suicide and depression.
  4. China alone is responsible for over 400 million deaths by abortion which is 25% more than America.
  5. 56% of the world’s female suicides occur in China which is five times the world average.

Ensor’s aim is simple, to present a biblical case for why believers should not partake in the shedding of innocent blood and do what they can to stop it from happening. This is a call to protect the innocent among us.

Who are the innocent among us?

They are

The harmless, pure, or free from guilt before our fellow man or the laws of man. Babies and little children come to mind first when we speak of the innocent in this sense; they are harmless and without guile. But adults, too, are called innocent when they have done nothing wrong toward their neighbor. To punish them without due process, or on the basis of a false report, or because they are poor and have no proper defenders, or to please the wealthy or powerful, is to harm the innocent.

Why should we care for the innocent and vulnerable among us?

Christ cared for them and they have value because He made them. Being made in the image of God gives value to every person despite the color of their skin or the stage of their human development. Because the innocent Christ shed His blood to save us we should seek to save the innocent among us. God shows His value for our lives through Christ’s shedding of blood and so we should value the life of others.

Who is guilty of shedding innocent blood?

The answer may shock you. Ensor rightly points out that it is not just those who have a direct hand in the killing of the innocent but those who can do something to prevent it and don’t. This second category joins more of us into it than we may want to think and the weight of our responsibility is heavy. Ensor is clear that God will exact justice and judgment on those who shed innocent blood and it goes for both parties – the active and passive participants.

So what is the hope of the bloodguilty?

The hope of the bloodguilty is nothing other than the shedding of blood in the atonement of Christ. Ironically, it is the shedding of the innocent Christ’s blood that provides the atoning covering for the bloodguilty. Innocence for guilt. Ensor masterfully points out that Satan tried to attack baby Jesus as an infant. Jesus Himself as a baby was the target of innocent killing. Herod tried to take his life as a baby and Pilate succeeded while he was a man. The first attempt on his life would have stopped the gospel from becoming a reality. The second attempt resulted in his death and made the gospel a reality.

Innocent Blood: Challenging the Powers of Death with the Life of the Gospel is a jolt to the conscience of anyone who reads it. It is a much needed gut check on how truly pro-life one is. It will challenge your heart and make you ask yourself if you are doing your part to stop the shedding of innocent blood. You will finish the book asking yourself one question – do I have the blood of the innocent on my hands?

NOTE: I received this book for free and was under no obligation to provide a favorable review.

I remember seeing Russell Moore’s Facebook status the night before he posted his controversial post on Christian romance novels. It read, “Wondering whether posting my blog in the morning is worth all the hate mail it will bring!” While I don’t know how much hate mail he received I am sure it was a lot.

Moore’s post created a fire storm of responses from across the board (just google them). Notably is the response of Caryn Rivadeneria over at the her.meneutics blog on the Christianity Today web site.

The basis for Moore’s post stems from the findings of Ogi Ogas and Sai Gaddam in their recent book A Billion Wicked Thoughts: What the World’s Largest Experiment Reveals about Human Desire. While the authors are primarily going after the porn industry they do make comments, conclusions and parallels between the marketing and commercializing of porn and romance novels. Moore states,

The research explores further what the commercialized romance industry tells us about what it means to be a woman (at least in a fallen world). Women are much less likely to be drawn to visual pornography (although more do so than one might think), but are quite likely to be involved in such media as Internet romantic fiction or the old-fashioned romance novel.

The romance novel follows, the researchers argue, a typical pattern. The hero is almost never, they say, a blue collar worker, a bureaucrat, or someone in the traditionally feminine occupations (hairdresser, kindergarten teacher, etc.). He is competent, confident, and usually wealthy. He is, in short, an alpha male.

But, they argue, this alpha male is typically a rough character who learns to be tamed into kindness, kindness to her. Thus, you wind up with not only the strong silent cowboys with the soft interior life, but also these days vampires and werewolves and Vikings.

Moore’s greatest concern with romance novels, more specifically Christian romance novels, is that they seem to draw women out of the reality of their marriage into the world of another. Moore concludes,

How many disappointed middle-aged women in our congregations are reading these novels as a means of comparing the “strong spiritual leaders” depicted there with what by comparison must seem to be underachieving lumps lying next to them on the couch?

This is not to equate morally “romance novels” with the grave soul destruction of pornography. But it is worth asking, “Is what I’m consuming leading me toward contentment with my spouse (or future spouse) or away from it? Is it pointing me to the other in one-flesh union or to an eroticized embodiment of my own desires? Is this the mystery or a mirage?

It is in response to the claim that women compare their “real” marriages to these imaginary marriages that Caryn writes her response. Caryn states that even after reading two of these type novels she “wasn’t compelled to rush out and buy more. I may be hooked on reading, but not on romance, per se.” Caryn interviewed Allie Pieter, a Christian romance novelist, about how she as a writer and other women who read her books view romance novels. Allie states,

Most women are smart enough to know that real life has no violins swelling behind the drop-dead-gorgeous hero professing love in a dramatic sunset. They can be entertained by the ideal of the story without turning it into some kind of impossible relational checklist.

Caryn agrees and even cites some Scripture to support her point:

Of course, some might try this logic with porn: that pornography viewers (or readers) understand it’s not real. But there’s a difference still, and it lies in Scripture. Philippians 4:8 says, “Fix your thoughts on what is true, and honorable, and right, and pure, and lovely, and admirable.”

Simply put: romance is lovely, among other things — or at least can be. Romance can and does get corrupted in our fallen world, but even God uses romance in his Word as an image to help us understand his love for us and what our love for him might be. God never uses images of lust and degrading sex to do the same.

I strongly encourage you to read the rest here.

I still have some more thinking to do on this but after talking with my wife about it last night I find myself backing away from some of my original thinking. After all, my wife is level headed, wise and well she loves me and not the men portrayed in the books she reads.

I have to confess that I am not  a huge fan of romance movies or Christian romance novels. At this point I am not going to set out all of my reservations about them but I will point you to Russell Moore who has articulated some that I agree with. You will be interested to see what he draws comparisons to.

Read the whole thing here.

Quantum chemistry results, as found in the file:
The following is a DFT calculation (ωB97M-V/def2-TZVPD) of one molecule with the formula C26H32N4O3S.

Each line ends with the Mulliken charge.
Element x y z (Å)
C 1.342 0.258 -3.473  -1.52
H 0.860 -0.665 -3.782  0.29
H 2.223 0.405 -4.094  0.49
H 0.657 1.085 -3.646  0.28
C 1.761 0.195 -1.998  -0.62
N 0.700 0.232 -1.019  1.27
C 0.086 1.515 -0.784  -0.41
H 0.222 2.192 -1.636  0.45
C 0.658 2.225 0.466  -1.45
N 0.522 1.434 1.673  0.26
C 1.267 0.331 1.931  0.11
S 0.867 -0.718 3.154  -0.31
N 2.416 0.203 1.210  0.23
C 3.241 -0.882 1.005  0.62
C 2.802 -2.190 1.224  -0.36
C 3.629 -3.271 1.011  -0.88
C 4.933 -3.083 0.571  -0.65
C 5.377 -1.804 0.328  -0.83
C 4.554 -0.688 0.520  0.42
C 5.199 0.598 0.195  0.64
O 6.386 0.726 0.024  -0.64
O 4.345 1.651 0.064  -0.42
C 4.911 2.918 -0.250  -0.97
H 5.945 2.789 -0.571  0.47
H 4.878 3.553 0.637  0.29
H 4.316 3.359 -1.049  0.26
H 6.380 -1.626 -0.027  0.46
H 5.586 -3.927 0.414  0.40
H 3.254 -4.268 1.187  0.42
H 1.793 -2.350 1.565  0.37
H 2.736 1.036 0.736  0.35
C -0.648 1.727 2.485  -2.45
C -1.920 1.262 1.830  0.80
C -2.330 -0.026 1.876  0.01
C -3.500 -0.465 1.191  0.95
C -3.935 -1.797 1.187  -0.82
C -5.067 -2.159 0.502  -0.77
C -5.817 -1.210 -0.205  0.94
C -5.401 0.107 -0.210  -0.79
C -4.249 0.489 0.478  -0.22
N -3.817 1.789 0.472  0.00
C -2.679 2.263 1.086  0.27
O -2.370 3.439 0.976  -0.73
H -4.363 2.477 -0.033  0.22
H -5.965 0.854 -0.750  0.30
C -7.048 -1.636 -0.941  -1.54
H -7.547 -0.787 -1.399  0.34
H -6.790 -2.351 -1.722  0.33
H -7.743 -2.127 -0.261  0.36
H -5.395 -3.188 0.503  0.42
H -3.360 -2.531 1.731  0.45
H -1.760 -0.751 2.440  0.55
H -0.518 1.230 3.449  0.76
H -0.699 2.810 2.629  0.43
H 0.090 3.146 0.616  0.69
H 1.702 2.501 0.294  0.21
H -0.988 1.390 -0.634  -0.05
C -0.138 -0.935 -0.869  -0.10
C -1.356 -1.052 -1.795  -1.25
H -1.062 -1.119 -2.838  0.26
H -1.916 -1.947 -1.534  0.44
H -2.021 -0.199 -1.679  0.19
H 0.504 -1.809 -1.009  0.42
H -0.499 -0.951 0.165  -0.24
H 2.423 1.041 -1.787  0.20
H 2.336 -0.721 -1.830  0.38

As for the SMILES: CCN(CC)CCN(Cc1cc2ccc(C)cc2[nH]c1=O)C(=S)Nc1ccccc1C(=O)OC. As for the gap between HOMO and LUMO: 7.90 eV. The HOMO energy is -7.71 eV. The largest force on an atom comes out at 1.0 eV/A. The relative energy (zero: lowest compared OMol25 entry of this formula, charge and spin) comes out at 0.260 eV. The calculation puts the LUMO energy at 0.19 eV. Its net charge is 0.

So what do you think?